(Activity)
Work out how many lines below have the word "Sr" in them; a number is enough, please.

(Source)
Entry from Materials Project: Mn6Ni16Ge7 after structural relaxation (PBE).

```
Mn6Ni16Ge7
1.0
0.000 5.608 5.608
5.608 0.000 5.608
5.608 5.608 0.000
Mn Ni Ge
6 16 7
Direct
0.147 0.147 0.853
0.147 0.853 0.147
0.147 0.853 0.853
0.853 0.147 0.147
0.853 0.147 0.853
0.853 0.853 0.147
0.146 0.618 0.618
0.165 0.165 0.165
0.165 0.165 0.506
0.165 0.506 0.165
0.382 0.382 0.382
0.382 0.382 0.854
0.382 0.854 0.382
0.494 0.835 0.835
0.506 0.165 0.165
0.618 0.146 0.618
0.618 0.618 0.146
0.618 0.618 0.618
0.835 0.494 0.835
0.835 0.835 0.494
0.835 0.835 0.835
0.854 0.382 0.382
0.000 0.000 0.500
0.000 0.500 0.000
0.000 0.500 0.500
0.500 0.000 0.000
0.500 0.000 0.500
0.500 0.500 0.000
0.500 0.500 0.500
```

Results
calculated total energy	-183.20	eV for the cell shown
ΔH_f (0 K)	-0.117	eV per atom

~~~~~

Compound: Sr2CoCu2O7
Source: the Materials Project
Functional: PBE with a Hubbard U
Structure: optimized geometry

Computed properties:
ΔH_f (0 K)   -1.647 eV/atom
Calculated density   4.80 g/cm³
Magnetic moment   3.66 μB per formula unit
V   13.64 A^3/atom
VASP energy   -66.64 eV per formula unit
Space group   Ima2 (46)

```
Sr2CoCu2O7
1.0
-0.377 -0.671 12.824
-7.247 -1.447 10.509
4.300 -2.550 -11.834
Sr Cu O Co
4 4 14 2
Cartesian
-2.140 -4.265 8.073
-0.584 -3.833 3.310
1.684 -3.217 -3.590
3.241 -2.785 -8.353
-1.339 -2.467 10.826
-4.784 -2.847 9.666
-1.863 -2.036 0.726
1.582 -1.656 1.886
-1.746 -3.878 1.024
-2.754 -2.317 3.609
-0.432 -2.164 7.951
0.613 -1.873 4.750
2.347 -2.329 -5.948
1.694 -3.490 2.195
-0.263 -1.887 1.689
-3.799 -2.608 6.810
-0.594 -3.559 -2.475
-4.079 -2.939 13.367
-0.717 -4.002 5.906
-2.934 -2.629 9.864
0.881 -1.561 -1.812
2.830 -3.174 -1.310
-3.702 -2.403 5.076
0.249 -2.440 6.364
```

=====

Compound: Sr6Y2Co3Cu6O21
Source: the Materials Project
Functional: PBE with a Hubbard U
Structure: optimized geometry

Computed properties:
ΔH_f (0 K)   -2.099 eV/atom
Calculated density   5.18 g/cm³
Magnetic moment   10.20 μB per formula unit
V   13.48 A^3/atom
VASP energy   -233.31 eV per formula unit
Space group   P1 (1)

```
Sr6Y2Co3Cu6O21
1.0
-10.911 -11.880 -1.369
2.031 -2.360 4.464
-6.628 9.216 4.579
O Sr Y Cu Co
42 12 4 12 6
Cartesian
-14.968 -3.021 3.622
-6.851 3.789 6.765
-4.434 0.269 2.019
-10.883 -5.092 5.723
-11.514 0.889 3.889
-3.079 -2.746 1.603
-8.758 -6.947 3.766
-6.550 2.119 3.951
-5.971 6.734 4.762
-6.954 -6.616 1.166
-10.384 -10.531 0.913
-4.999 5.635 6.789
-5.066 -2.914 4.220
-2.991 3.233 3.805
-10.213 -1.919 3.507
-11.627 -7.243 3.949
-7.250 -1.204 6.179
-8.049 -3.627 1.556
-2.056 -3.960 3.825
-5.022 -4.488 1.402
-3.911 -5.811 3.771
-3.672 2.781 6.586
-11.639 -7.584 1.124
-6.719 -0.662 3.429
-8.548 -8.679 0.907
-7.901 -3.345 4.326
-9.426 -11.673 2.944
-7.525 -9.893 3.122
-0.469 -1.891 4.050
-5.831 -7.926 3.551
-10.378 -0.400 6.274
-10.298 -4.652 2.924
-13.853 -5.844 2.992
-13.970 -4.120 5.650
-7.900 4.970 4.545
-1.425 -0.770 2.022
-4.292 0.651 4.815
-12.301 -2.152 6.094
-13.346 -0.976 3.887
-9.577 2.997 4.168
-1.446 1.014 4.704
-8.427 1.718 6.535
-12.412 -3.580 3.649
-2.996 -1.304 4.027
-5.143 4.284 4.557
-6.487 -5.345 3.436
-9.557 -2.871 6.164
-2.054 1.798 1.862
-10.231 -9.180 3.136
-5.832 -2.018 1.504
-5.901 1.128 6.653
-9.493 -6.029 1.043
-8.901 0.456 4.246
-13.330 -6.683 5.826
-11.793 -0.982 8.139
-7.351 6.137 6.590
-8.053 -11.052 1.096
-3.614 -3.932 -0.450
-9.009 0.166 7.488
-3.598 -4.321 2.646
-8.253 3.285 5.490
-5.329 4.180 7.949
-15.481 -4.590 4.573
-7.149 -8.186 2.206
0.074 -0.315 3.119
-12.692 -3.833 7.023
-11.803 -0.579 5.043
-6.388 -5.076 0.198
-2.704 -1.075 0.659
-10.062 -9.090 -0.264
-5.493 0.817 3.347
-6.531 -2.036 4.768
-2.887 1.935 5.219
-12.751 -7.115 2.422
-10.183 -5.990 4.323
-9.107 -3.147 2.885
```

=====

Compound: Co3Cu3Te2O12
Source: the Materials Project
Functional: PBE with a Hubbard U
Structure: optimized geometry

Computed properties:
ΔH_f (0 K)   -1.262 eV/atom
Calculated density   5.92 g/cm³
Magnetic moment   6.00 μB per formula unit
V   11.43 A^3/atom

(Reply)
2